A:
Na3BiO3 (PBE, optimized geometry); SG = I-43m, No. 217
1.0
-0.194 -1.537 8.326
-3.501 7.552 -1.558
-4.338 -6.019 -4.083
Na Bi O
12 4 12
direct
0.246 0.722 0.722 Na
0.722 0.722 0.246 Na
0.722 0.246 0.722 Na
0.000 0.525 0.278 Na
0.000 0.278 0.525 Na
0.754 0.475 0.475 Na
0.475 0.475 0.754 Na
0.525 0.278 0.000 Na
0.278 0.000 0.525 Na
0.525 0.000 0.278 Na
0.475 0.754 0.475 Na
0.278 0.525 0.000 Na
0.000 0.715 0.000 Bi
0.000 0.000 0.715 Bi
0.285 0.285 0.285 Bi
0.715 0.000 0.000 Bi
0.484 0.256 0.484 O
0.256 0.484 0.484 O
0.484 0.484 0.256 O
0.516 0.772 0.000 O
0.772 0.000 0.516 O
0.516 0.000 0.772 O
0.228 0.744 0.228 O
0.772 0.516 0.000 O
0.000 0.516 0.772 O
0.228 0.228 0.744 O
0.744 0.228 0.228 O
0.000 0.772 0.516 O

=====

B:
Na3BiO3 (PBE, optimized geometry); SG = P-1, No. 2
1.0
9.568 -3.750 1.151
0.260 3.221 9.837
-7.919 -8.058 -0.959
Na Bi O
24 8 24
direct
0.489 0.080 0.914 Na
0.352 0.077 0.528 Na
0.900 0.090 0.487 Na
0.610 0.153 0.359 Na
0.435 0.297 0.774 Na
0.136 0.330 0.585 Na
0.894 0.349 0.660 Na
0.272 0.495 0.942 Na
0.572 0.409 0.616 Na
0.875 0.519 0.892 Na
0.513 0.328 0.158 Na
0.278 0.537 0.555 Na
0.722 0.463 0.445 Na
0.487 0.672 0.842 Na
0.125 0.481 0.108 Na
0.428 0.591 0.384 Na
0.728 0.505 0.058 Na
0.106 0.651 0.340 Na
0.864 0.670 0.415 Na
0.565 0.703 0.226 Na
0.390 0.847 0.641 Na
0.100 0.910 0.513 Na
0.648 0.923 0.472 Na
0.511 0.920 0.086 Na
0.153 0.177 0.846 Bi
0.734 0.166 0.783 Bi
0.290 0.270 0.321 Bi
0.836 0.265 0.235 Bi
0.164 0.735 0.765 Bi
0.710 0.730 0.679 Bi
0.266 0.834 0.217 Bi
0.847 0.823 0.154 Bi
0.529 0.066 0.721 O
0.134 0.137 0.646 O
0.736 0.149 0.592 O
0.361 0.279 0.938 O
0.055 0.361 0.876 O
0.643 0.134 0.151 O
0.675 0.365 0.834 O
0.331 0.298 0.526 O
0.886 0.292 0.441 O
0.496 0.349 0.364 O
0.258 0.551 0.758 O
0.794 0.546 0.682 O
0.206 0.454 0.318 O
0.742 0.449 0.242 O
0.504 0.651 0.636 O
0.114 0.708 0.559 O
0.669 0.702 0.474 O
0.325 0.635 0.166 O
0.357 0.866 0.849 O
0.945 0.639 0.124 O
0.639 0.721 0.062 O
0.264 0.851 0.408 O
0.866 0.863 0.354 O
0.471 0.934 0.279 O

=====

It comes down to A, which is 37 meV per atom more stable than the next structure.

=====

A:
NaTi2BiO6 (PBE, optimized geometry); SG = Cmm2, No. 35
1.0
3.851 -3.894 0.000
3.851 3.894 0.000
0.000 0.000 4.231
Na Ti Bi O
1 2 1 6
direct
0.000 0.000 0.565 Na
0.500 0.000 0.023 Ti
0.000 0.500 0.023 Ti
0.500 0.500 0.611 Bi
0.500 0.000 0.440 O
0.000 0.500 0.440 O
0.734 0.734 0.937 O
0.266 0.266 0.937 O
0.751 0.249 0.921 O
0.249 0.751 0.921 O

=====

B:
NaTi2BiO6 (PBE, optimized geometry); SG = C2/m, No. 12
1.0
2.746 5.398 0.000
-2.746 5.398 0.000
0.000 2.121 5.223
Na Ti Bi O
1 2 1 6
direct
0.500 0.500 0.500 Na
0.232 0.232 0.400 Ti
0.768 0.768 0.600 Ti
0.000 0.000 0.000 Bi
0.177 0.177 0.147 O
0.823 0.823 0.853 O
0.122 0.623 0.351 O
0.377 0.878 0.649 O
0.878 0.377 0.649 O
0.623 0.122 0.351 O

=====

It comes down to A, which is 11 meV per atom more stable than the next structure.

The reader should reproduce only the lines further up with the word "I-43m" in them.

Na3BiO3 (PBE, optimized geometry); SG = I-43m, No. 217